A healthy steelhead trout surveyed at Pescadero Creek Lagoon Complex in 2017

The aftermath of a winter sandbar breach 2014. These nearly annual breaches resulted in large die-offs for the lagoon’s steelhead.

A manual breach of Pescadero Creek Lagoon Complex. Managed breaches of the lagoon can prevent fish kills caused by turbulent natural breaches. Photo Courtesy of UC Davis School of Veterinary Medicine
There’s a dichotomy in the way Pescadero Creek Lagoon Complex in coastal San Mateo County has both supported—and been detrimental to—steelhead trout for much of the past 25 years.
On one hand, the lagoon complex—the largest tidal marsh between Elkhorn Slough and the San Francisco Bay estuary—boasts high growth rates for Central California Coast Steelhead. The lagoon system allows the species, which is federally listed as endangered, to reach a size that increases their likelihood of surviving at sea. Steelhead also use the system for juvenile rearing and resting during migration.
On the other hand, nearly every year since the mid-1990s, the lagoon faced harsh fall/winter sandbar breaches that filled the system with oxygen-depleted water and spread toxic sediment produced by the breakdown of organic matter like plant material in the absence of oxygen.
These breaches often resulted in large die-offs for the lagoon’s steelhead population. Historically, population estimates have reached as many as 17,000 steelhead rearing into the fall.
“It was a one-two punch where fish faced lack of oxygen and got hit with harsh toxic compounds. It was really unfortunate because the lagoon system works so well to grow steelhead, but we were losing the production every year,” said District Fisheries Biologist Jon Jankovitz.
Efforts to actively manage breaches began in 2012, but were stalled in 2014 and 2015 when the steelhead population was diminished due to drought conditions. In 2015, the California Department of Fish and Wildlife (CDFW) and the National Oceanic Atmospheric Administration (NOAA) partnered with the Department of Parks and Recreation (DPR), which owns much of the land associated with the complex, in adopting a monitoring and management plan.
In 2016, a significant fish kill caused by a turbulent sandbar breach prompted further action. CDFW, NOAA and DPR resumed active management to improve water conditions and prevent the deadly breaches.
_Records of crystals that have nothing to do with the text_
~~~
The following is a DFT calculation (SCAN) of a crystal of ReW3 relaxed with PBEsol.

Properties
Space-group type: C2/m
Excess energy over the best structure of this formula in the dataset (meV per atom): 13.4
Formation energy from the elements (eV per atom): 0.02

a = 5.193 Å, b = 5.193 Å, c = 2.721 Å
α = 100.13°, β = 100.13°, γ = 116.94°
Positions (direct):
Re: 0.000 0.000 0.000
W: 0.000 0.500 0.500
W: 0.500 0.000 0.500
W: 0.500 0.500 0.000

---

The following is a DFT calculation (SCAN) of a crystal of Y2SiBr relaxed with PBEsol.

Properties
Space-group type: R-3m
Energy relative to the elements, uncorrected (eV/atom): -1.173

a = 7.211 Å, b = 7.211 Å, c = 7.211 Å
α = 33.06°, β = 33.06°, γ = 33.06°
Positions (direct):
Y: 0.238 0.238 0.238
Y: 0.762 0.762 0.762
Si: 0.500 0.500 0.500
Br: 0.000 0.000 0.000

---

The following is a DFT calculation (SCAN) of a crystal of MnReAs2 relaxed with PBEsol.

Properties
Space-group type: P4/mmm
Excess energy over the best structure of this formula in the dataset (meV per atom): 173.0
Formation energy from the elements (eV per atom): 0.17

a = 4.230 Å, b = 4.230 Å, c = 3.011 Å
α = 90.00°, β = 90.00°, γ = 90.00°
Positions (direct):
Mn: 0.000 0.000 0.000
Re: 0.500 0.500 0.000
As: 0.000 0.500 0.500
As: 0.500 0.000 0.500

---

The following is a DFT calculation (SCAN) of a crystal of TiPRu3 relaxed with PBEsol.

Properties
Space-group type: Pm-3m
Formation energy from the elements (eV per atom): 0.02

a = 4.253 Å, b = 4.253 Å, c = 4.253 Å
α = 90.00°, β = 90.00°, γ = 90.00°
Positions (direct):
Ti: 0.000 0.000 0.000
P: 0.500 0.500 0.500
Ru: 0.000 0.500 0.500
Ru: 0.500 0.000 0.500
Ru: 0.500 0.500 0.000

---

The following is a DFT calculation (SCAN) of a crystal of Y2Cu2Bi relaxed with PBEsol.

Properties
Space-group type: P4/mbm
Formation energy from the elements (eV per atom): -0.53

a = 7.253 Å, b = 7.253 Å, c = 4.031 Å
α = 90.00°, β = 90.00°, γ = 90.00°
Positions (direct):
Y: 0.170 0.330 0.000
Y: 0.330 0.830 0.000
Y: 0.670 0.170 0.000
Y: 0.830 0.670 0.000
Cu: 0.119 0.619 0.500
Cu: 0.381 0.119 0.500
Cu: 0.619 0.881 0.500
Cu: 0.881 0.381 0.500
Bi: 0.000 0.000 0.500
Bi: 0.500 0.500 0.500

---

The following is a DFT calculation (SCAN) of a crystal of BeGaS2N relaxed with PBEsol.

Properties
Space-group type: P4/mmm
Energy relative to the elements, uncorrected (eV/atom): 0.917

a = 4.760 Å, b = 4.760 Å, c = 3.639 Å
α = 90.00°, β = 90.00°, γ = 90.00°
Positions (direct):
Be: 0.000 0.000 0.000
Ga: 0.500 0.500 0.500
S: 0.000 0.500 0.500
S: 0.500 0.000 0.500
N: 0.500 0.500 0.000

---

The following is a DFT calculation (SCAN) of a crystal of Ca3Pb relaxed with PBEsol.

Properties
Space-group type: Pm-3m
Formation energy from the elements (eV per atom): -0.51

a = 4.980 Å, b = 4.980 Å, c = 4.980 Å
α = 90.00°, β = 90.00°, γ = 90.00°
Positions (direct):
Ca: 0.000 0.000 0.500
Ca: 0.000 0.500 0.000
Ca: 0.500 0.000 0.000
Pb: 0.500 0.500 0.500

---
~~~
The restoration team installed a sandbar dam at a major channel to slow the release of oxygen-depleted water and sediment into the system. Staff also preemptively manually breached the lagoon mouth on occasions when they anticipated a harmful natural breach.
Jankovitz conducts weekly water quality monitoring and twice-monthly dry-season fish sampling to inform management decisions. He produces an annual report on the health of the steelhead population and a summary of seasonal water quality transitions.
So how has active management faired? There hasn’t been a significant fish kill since 2016.
“We’ve saved the steelhead population for the last couple of years. We’re fortunate for the success we’ve had so far,” said Jankovitz.
Another mark of success has been the documented presence this year of sexually mature holdovers, meaning steelhead that were reared in the lagoon for two seasons even though they were large enough to smolt (i.e. migrate to sea).
“This obviously couldn’t happen if there was a fish kill the year prior. These holdovers represent a life history strategy that may fill in gaps during down reproductive years or periods of poor ocean conditions,” said Jankovitz.
There’s a long-term restoration plan in the works which would likely involve structural changes, such as relocating culverts and breaching levees, to alter the dynamics of how much tide flows in and out of the system. The plan includes a sediment removal project that was implemented in 2019 to increase fish passage.
Ultimately, CDFW and DPR would like to keep the system thriving without active management. “We don’t love breaching the lagoon manually because it can be stressful for fish and other aquatic species,” Jankovitz said.
Meanwhile, fostering an environment in Pescadero Creek Lagoon Complex that supports a large population of fast-growing steelhead continues to be top priority.
“Aside from being a native California species with a long history of recreational and angler use, steelhead are a great biological indicator of the health of streams and lagoon systems. The ecology of these systems would likely fall apart without them,” Jankovitz said.
Photos courtesy of CDFW District Fisheries Biologist Jon Jankovitz and the Bodega Marine Lab at University of California, Davis. Top Photo: District Fisheries Biologist Jon Jankovitz with a healthy Pescadero juvenile steelhead.
Media Contact:
Ken Paglia, CDFW Communications, (916) 322-8958